Monday 7 June 2010

So, I lost... (but Baka-Raptor is still the worst 'blog ever)

It was always going to be tough, but after a pretty close start this 'blog ended up effectively fighting against voters for two 'blogs, which was enough to secure a pretty hefty defeat in round three of the Aniblog Tourney.

### Calculated crystals from another source follow
# MnCd2CuO4
Simulated powder diffraction line list, λ = 1.5418 Å (Cu Kα). Input: the GGA+U geometry in Alexandria.

Top 10 peaks for 5 to 70 degrees two-theta, sorted by position:
- 2θ = 17.72°, I 23
- 2θ = 27.74°, I 34
- 2θ = 30.11°, I 44
- 2θ = 32.45°, I 45
- 2θ = 33.30°, I 76
- 2θ = 40.73°, I 100
- 2θ = 41.39°, I 33
- 2θ = 44.85°, I 26
- 2θ = 48.79°, I 25
- 2θ = 53.01°, I 22

Atomic structure:
a = 5.7371 Å, b = 5.7371 Å, c = 11.8735 Å
α = 90.00°, β = 90.00°, γ = 148.25°
Element x y z (fractional)
Mn1 0.1397 0.8603 0.7500
Mn2 0.8603 0.1397 0.2500
Cd1 0.3661 0.6339 0.5402
Cd2 0.3661 0.6339 0.9598
Cd3 0.6339 0.3661 0.0402
Cd4 0.6339 0.3661 0.4598
Cu1 0.1185 0.8815 0.2500
Cu2 0.8815 0.1185 0.7500
O1 0.0000 0.0000 0.0000
O2 0.0000 0.0000 0.5000
O3 0.2609 0.7391 0.1363
O4 0.2609 0.7391 0.3637
O5 0.4955 0.5045 0.7500
O6 0.5045 0.4955 0.2500
O7 0.7391 0.2609 0.6363
O8 0.7391 0.2609 0.8637

~~~~~

No. 1
Diffraction record for NaSrCoW. The powder XRD pattern is computed, not measured: it uses the PBE geometry in OQMD and copper Kα.
No peak broadening, texture or thermal motion is included.

The 10 most intense peaks (10° ≤ 2θ ≤ 90°), low angle first:
22.58°, intensity 19; 26.13°, intensity 33; 37.29°, intensity 100; 44.03°, intensity 10; 46.10°, intensity 10; 53.76°, intensity 17; 60.72°, intensity 14; 67.24°, intensity 34; 79.49°, intensity 11; 85.40°, intensity 7

Atomic structure:
```
16
Lattice="6.8210 0.0000 0.0000 0.0000 6.8210 0.0000 0.0000 0.0000 6.8210" Properties=species:S:1:pos:R:3 pbc="T T T"
Na 0.0000 0.0000 0.0000
Na 0.0000 3.4105 3.4105
Na 3.4105 0.0000 3.4105
Na 3.4105 3.4105 0.0000
Sr 1.7052 1.7052 1.7052
Sr 1.7052 5.1157 5.1157
Sr 5.1157 1.7052 5.1157
Sr 5.1157 5.1157 1.7052
Co 0.0000 0.0000 3.4105
Co 0.0000 3.4105 0.0000
Co 3.4105 0.0000 0.0000
Co 3.4105 3.4105 3.4105
W 1.7052 1.7052 5.1157
W 1.7052 5.1157 1.7052
W 5.1157 1.7052 1.7052
W 5.1157 5.1157 5.1157
```



No. 2
Diffraction record for Gd2Mg4AgPt. The powder XRD pattern is computed, not measured: it uses the PBE geometry in OQMD and copper Kα.
No peak broadening, texture or thermal motion is included.

The 10 most intense peaks (10° ≤ 2θ ≤ 90°), low angle first:
15.00°, intensity 100; 18.19°, intensity 17; 20.54°, intensity 18; 25.53°, intensity 27; 27.30°, intensity 13; 30.26°, intensity 13; 33.50°, intensity 20; 36.87°, intensity 35; 42.59°, intensity 14; 43.13°, intensity 12

Atomic structure:
```
16
Lattice="5.9070 0.0000 0.0000 0.0000 5.3501 0.0000 0.0000 0.0000 17.2979" Properties=species:S:1:pos:R:3 pbc="T T T"
Gd 0.0000 0.0000 0.0000
Gd 0.0000 0.0000 4.0166
Gd 0.0000 2.6750 8.6489
Gd 0.0000 2.6750 12.6656
Mg 1.4861 0.0000 7.1815
Mg 1.4877 0.0000 14.2945
Mg 1.4877 2.6750 5.6455
Mg 1.4861 2.6750 15.8304
Mg 4.4209 0.0000 7.1815
Mg 4.4193 0.0000 14.2945
Mg 4.4193 2.6750 5.6455
Mg 4.4209 2.6750 15.8304
Ag 0.0000 0.0000 9.5618
Ag 0.0000 2.6750 0.9128
Pt 0.0000 0.0000 12.1732
Pt 0.0000 2.6750 3.5242
```



No. 3

Despite being knocked out, I want to once again thank everyone who voted for Hanners' Anime 'Blog for their support - It's been fantastic to see just how much support I've received throughout, even to the extent of upsetting the community applecart in the last round, which made for a particularly enjoyable spot of Giant Killing.

This tournament as a whole has also been an incredibly insightful one for me - I'd like to think it's brought me closer to the anime 'blogging community as a whole (which I've perhaps been too distanced from in the past), it's helped me to discover a bundle of great new 'blogs as well as reminding me why I visit some of the sites that I do, it's led to the realisation that some people hate episodic 'blogging with an incredible passion, while others... well, just hate pretty much everyone really. Particularly if they enjoy the final Tenchi OVA.

Anyhow, altogether this contest has given me renewed interest in the rich tapestry of this particular blogosphere, so even though I'll now be watching from the sidelines I'd say it's mission accomplished. Congratulations go to Baka-Raptor for making it through of course - Even though it is the worst 'blog ever.


  1. I shall join you in the losers tunnel after getting quite thoroughly destroyed by Sea Slugs. Still, they and Baka-Raptor are two of the favourites so eh, no shame in losing

  2. I accept your concession. It takes a big man to lose to me and not explode.

  3. You lost to Baka-Raptor???

    I hope you enjoy seppukku.

  4. At least you didn't do as bad as Scamp. Oh MAAAANN THAT GUY GOT HIS ASS HANDED TO HIM!!!

-- begin --
MnTcH2: theoretical X-ray diffraction stick pattern (Cu Kα), based on a DFT-relaxed cell (PBE, Alexandria).

The 6 most intense peaks (10 to 90 degrees two-theta), by angle:
2θ (°)	I_rel	h k l
37.94	369	0 0 6
39.28	1000	0 1 2
45.28	637	1 0 4
65.05	214	0 1 8
66.89	196	1 1 0
79.56	230	1 1 6

Structure:
abc: 2.7977 2.7977 14.2294
angles: 90.00 90.00 120.00
Atoms (fractional coordinates):
Mn  0.0000  0.0000  0.0000
Mn  0.3333  0.6667  0.6667
Mn  0.6667  0.3333  0.3333
Tc  0.0000  0.0000  0.5000
Tc  0.3333  0.6667  0.1667
Tc  0.6667  0.3333  0.8333
H  0.0000  0.0000  0.3748
H  0.0000  0.0000  0.6252
H  0.3333  0.6667  0.0415
H  0.3333  0.6667  0.2919
H  0.6667  0.3333  0.7081
H  0.6667  0.3333  0.9585

=====

[1]
The following is a computed powder diffraction line list of AcCe3. It was derived from the GGA-PBE geometry in Alexandria, using Cu Kα (weighted mean of Kα1 and Kα2).
Neutral-atom scattering factors, no anomalous dispersion.

Lattice parameters (Å, degrees): 3.8140 5.5587 5.9931 90.00 90.00 90.00
Space group Pmm2 (No. 25)
Symmetry-distinct sites (fractional):
Ac 0.0000 0.0000 0.0000 (multiplicity 1)
Ce 0.0000 0.5000 0.5798 (multiplicity 1)
Ce 0.5000 0.0000 0.5133 (multiplicity 1)
Ce 0.5000 0.5000 0.2508 (multiplicity 1)

Largest 10 diffraction maxima, by intensity, 15° ≤ 2θ ≤ 90°:
(0 2 0), 2.783 Å, 32.16 deg, intensity 100; (0 1 2), 2.638 Å, 33.99 deg, intensity 21; (1 0 1), 3.218 Å, 27.72 deg, intensity 18; (0 1 1), 4.076 Å, 21.81 deg, intensity 17; (1 3 1), 1.606 Å, 57.39 deg, intensity 14; (1 2 1), 2.103 Å, 43.00 deg, intensity 11; (2 2 0), 1.572 Å, 58.72 deg, intensity 10; (3 1 1), 1.214 Å, 78.83 deg, intensity 10; (2 0 0), 1.907 Å, 47.69 deg, intensity 9; (2 1 2), 1.545 Å, 59.85 deg, intensity 8

[2]
The following is a computed powder diffraction line list of Sr2Be2Cr. It was derived from the GGA-PBE geometry in Alexandria, using Cu Kα (weighted mean of Kα1 and Kα2).
Neutral-atom scattering factors, no anomalous dispersion.

Lattice parameters (Å, degrees): 5.9324 5.9324 7.3354 90.00 90.00 90.00
Space group I4/mmm (No. 139)
Symmetry-distinct sites (fractional):
Sr 0.0000 0.5000 0.2500 (multiplicity 4)
Be 0.0000 0.0000 0.1409 (multiplicity 4)
Cr 0.0000 0.0000 0.5000 (multiplicity 2)

Largest 10 diffraction maxima, by intensity, 15° ≤ 2θ ≤ 90°:
(1 1 2), 2.761 Å, 32.43 deg, intensity 100; (2 0 0), 2.966 Å, 30.13 deg, intensity 69; (3 1 2), 1.670 Å, 54.98 deg, intensity 42; (1 1 0), 4.195 Å, 21.18 deg, intensity 32; (2 2 0), 2.097 Å, 43.13 deg, intensity 25; (2 0 2), 2.306 Å, 39.06 deg, intensity 18; (2 0 4), 1.560 Å, 59.24 deg, intensity 16; (0 0 2), 3.668 Å, 24.27 deg, intensity 16; (1 0 1), 4.613 Å, 19.24 deg, intensity 15; (5 1 2), 1.109 Å, 88.08 deg, intensity 11

[3]
The following is a computed powder diffraction line list of PrHoNi. It was derived from the GGA-PBE geometry in Alexandria, using Cu Kα (weighted mean of Kα1 and Kα2).
Neutral-atom scattering factors, no anomalous dispersion.
-- stop --

    I'm not sure how SS!AB will fair against Banana-Republic (...), but either way, we'll take the baton from you =P

  5. Bah! At least you guys got 20% of the vote. :,-(

    Hanners, it's been great seeing you participate though. I have to admit before the tourney, I wasn't sure if there was a real human behind your blog ;-)

  6. I'm not sure what makes you think there's a human behind it now... ;)

  7. what's this competition about? whoa...I didn't know about this....I could have voted for you...

    you're still my source for fun things to watch out for...

  8. You've been listening to AstroNerdBoy too much if you think I hate everyone. I don't even hate AstroNerdBoy, because I'm not stupid enough to hate some fatass over an anime, but he sure hates me because I keep exposing his lies. I just pity him and fight against his ASTROturfing propaganda and lies that he's paid to spread by his bosses at FUNimation. I already said at the tournament site that it's not because he likes the Tenchi OVA 3, I have friends who like it and I have no problem with them because they aren't cultist sell-outs.

  9. "I'm not stupid enough to hate some fatass over an anime"

    Your actions bely your words... Beside, if you aren't obsessed with people's opinions of Tenchi, then how come you only landed on this 'blog the one and only time I ever mentioned Tenchi within it?

  10. "Better to remain silent and be thought a fool than to speak and remove all doubt." -- Abraham Lincoln

  11. "Your actions bely your words... Beside, if you aren't obsessed with people's opinions of Tenchi, then how come you only landed on this 'blog the one and only time I ever mentioned Tenchi within it?"

    Are you serious? In case you didn't know, Tenchi is just a nick I've been using in the tournament. That you haven't seen it here before is a piss-poor basis for drawing conclusions. It's ridiculous that you're complaining about me commenting on a statment referring specifically to me. Maybe you've been infected with AstroNerdBoy's brainfat and it's impairing your thinking. I don't have to hate AstroNerdBoy in order to fight against the repetitive cultist propaganda of that Judas. This is a war between God's honest truth and paid-for lies, and I'm fighting him because it's my duty as a real Tenchi fan. As a Christian I pity him for selling his soul for thirty pieces of silver.

  12. Oh Jesus Christ...

    Put a sock in it.

  13. "In case you didn't know, Tenchi is just a nick I've been using in the tournament. That you haven't seen it here before is a piss-poor basis for drawing conclusions."

    In other words, you're a regular visitor to this 'blog, but you're sufficiently ashamed of your behaviour when it comes to this particular subject to post under a different name?

    Can't say I blame you... hounded people you don't agree with online isn't a very Christian thing to do, by all account. Then again, equating an anime 'blogger to Judas probably doesn't exhibit the best use of religious scripture I've seen either.

  14. "In other words, you're a regular visitor to this 'blog, but you're sufficiently ashamed of your behaviour when it comes to this particular subject to post under a different name?"

    That's right I've been here many times, I don't remember if I've ever commented or not. I'm not ashamed of anything, because I'm fighting for the truth. I have to hide who I am, because AstroNerdBoy keeps bearing false witness against me and trying to get me charged with all kinds of crimes because he doesn't want his lies exposed.

    "Can't say I blame you... hounded people you don't agree with online isn't a very Christian thing to do, by all account. Then again, equating an anime 'blogger to Judas probably doesn't exhibit the best use of religious scripture I've seen either."

    Hey I'd much rather not have to do this, but when some turncoat keeps spreading propaganda and lies on the orders of his fat cat paymasters to sell a megaturd to unsuspecting fans, you have to stand up against that. How many times do I have to explain that this is not just about disagreeing over Tenchi OVA 3? AstroNerdBoy is a sell-out ASTROturfer who pretends he's looking out for fans so he and his bosses at FUNimation can cash in. There's plenty of proof of that. When someone betrays his comrades for money, he's a Judas alright.

  15. "There's plenty of proof of that." - Then maybe you should reveal that proof rather than whining in other people's blogs and hijacking online polls?
